The reader should start at the top of the notes below and quote each line, ending with the one that has "0.645 0.708".
=====
Ba3Sr8Ca after structural relaxation, computed with PBE.

## Properties
Excess energy over the best structure of this formula in the dataset ... 4.383 eV/f.u.
Space group ... I-42m, No. 121
DOS(E_F) ... 21.73 states/eV per cell
Formation energy from the elements ... 381.3 meV per atom

abc: 10.290 10.290 10.290
angles: 94.46 117.46 117.46
Fractional positions:
Ba1 0.500 0.750 0.250
Ba2 0.500 0.250 0.750
Ba3 0.000 0.500 0.500
Sr1 0.467 0.200 0.200
Sr2 0.533 0.733 0.733
Sr3 0.000 0.800 0.267
Sr4 0.000 0.267 0.800
Sr5 0.258 0.357 0.357
Sr6 0.742 0.099 0.099
Sr7 0.000 0.643 0.901
Sr8 0.000 0.901 0.643
Ca1 0.000 0.000 0.000

ThGa2SiRu2 after structural relaxation, computed with PBE.

## Properties
Formation energy from raw total energies ... -0.363 eV per atom
Space group ... P4/mmm, No. 123
DOS(E_F) ... 4.12 states/eV per cell

abc: 4.437 4.437 5.715
angles: 90.00 90.00 90.00
Fractional positions:
Th1 0.000 0.000 0.500
Ga1 0.500 0.500 0.729
Ga2 0.500 0.500 0.271
Si1 0.000 0.000 0.000
Ru1 0.500 0.000 0.000
Ru2 0.000 0.500 0.000

LiTaSi2 after structural relaxation, computed with PBE.

## Properties
Excess energy over the best structure of this formula in the dataset ... 0.113 eV/f.u.
Formation energy from raw total energies ... -0.207 eV per atom
Space group ... I4/mmm, No. 139
DOS(E_F) ... 0.78 states/eV per cell

abc: 4.747 4.747 4.748
angles: 133.59 133.59 67.70
Fractional positions:
Li1 0.250 0.750 0.500
Si1 0.000 0.000 0.000
Si2 0.500 0.500 0.000
Ta1 0.750 0.250 0.500

Nd5Ga2Ir after structural relaxation, computed with PBE.

## Properties
Space group ... Pbam, No. 55
DOS(E_F) ... 12.99 states/eV per cell
Formation energy from the elements ... -510.8 meV per atom

abc: 4.727 7.778 12.248
angles: 90.00 90.00 90.00
Fractional positions:
Nd1 0.000 0.000 0.500
Nd2 0.000 0.500 0.000
Nd3 0.000 0.855 0.208
Nd4 0.000 0.145 0.792
Nd5 0.000 0.645 0.708
Nd6 0.000 0.355 0.292
Nd7 0.500 0.686 0.423
Nd8 0.500 0.314 0.577
Nd9 0.500 0.814 0.923
Nd10 0.500 0.186 0.077
Ga1 0.500 0.571 0.167
Ga2 0.500 0.429 0.833
Ga3 0.500 0.929 0.667
Ga4 0.500 0.071 0.333
Ir1 0.000 0.500 0.500
Ir2 0.000 0.000 0.000

ReAsH after structural relaxation, computed with PBE.

## Properties
Space group ... C2/m, No. 12
DOS(E_F) ... 1.67 states/eV per cell
Calculated total energy ... -19.85 eV/f.u.

abc: 3.028 6.207 4.598
angles: 86.34 109.22 90.00
Fractional positions:
Re1 0.633 0.621 0.267
Re2 0.367 0.379 0.733
As1 0.095 0.267 0.191
As2 0.905 0.733 0.809
H1 0.623 0.893 0.246
H2 0.377 0.107 0.754

Dy6HgAs2Se3 after structural relaxation, computed with PBE.

## Properties
Formation energy from raw total energies ... -1.477 eV per atom
Space group ... C2/m, No. 12
DOS(E_F) ... 4.60 states/eV per cell

abc: 4.085 8.366 9.258
angles: 103.01 102.75 90.00
Fractional positions:
Dy1 0.332 0.907 0.663
Dy2 0.670 0.577 0.341
Dy3 0.668 0.093 0.337
Dy4 0.002 0.258 0.004
Dy5 0.998 0.742 0.996
Dy6 0.330 0.423 0.659
Hg1 0.500 0.000 0.000
As1 0.833 0.665 0.666
As2 0.167 0.335 0.334
Se1 0.500 0.500 0.000
Se2 0.832 0.168 0.664
Se3 0.168 0.832 0.336

Zn2FeTe after structural relaxation, computed with PBE.

## Properties
Formation energy from raw total energies ... 0.367 eV per atom
Space group ... Pmmm, No. 47
DOS(E_F) ... 3.81 states/eV per cell

abc: 4.047 3.708 4.624
angles: 90.00 90.00 90.00
Fractional positions:
Fe1 0.500 0.000 0.500
Te1 0.000 0.500 0.500
Zn1 0.000 0.000 0.000
Zn2 0.500 0.500 0.000

NbVCo after structural relaxation, computed with PBE.

## Properties
Excess energy over the best structure of this formula in the dataset ... 0.000 eV/f.u.
Space group ... Imma, No. 74
DOS(E_F) ... 8.45 states/eV per cell
Formation energy from the elements ... -181.9 meV per atom

abc: 5.016 4.901 4.901
angles: 59.34 59.22 59.22
Fractional positions:
Nb1 0.873 0.377 0.377
Nb2 0.127 0.623 0.623
V1 0.500 0.500 0.000
V2 0.500 0.000 0.500
Co1 0.000 0.000 0.000
Co2 0.500 0.000 0.000

~~~~~

(1)
DFT (GGA-PBE) results for a geometry-optimized Hf2NbGa4 structure.

extended XYZ file:
```
7
=====
Ba3Sr8Ca after structural relaxation, computed with PBE.

## Properties
Excess energy over the best structure of this formula in the dataset ... 4.383 eV/f.u.
Space group ... I-42m, No. 121
DOS(E_F) ... 21.73 states/eV per cell
Formation energy from the elements ... 381.3 meV per atom

abc: 10.290 10.290 10.290
angles: 94.46 117.46 117.46
Fractional positions:
Ba1 0.500 0.750 0.250
Ba2 0.500 0.250 0.750
Ba3 0.000 0.500 0.500
Sr1 0.467 0.200 0.200
Sr2 0.533 0.733 0.733
Sr3 0.000 0.800 0.267
Sr4 0.000 0.267 0.800
Sr5 0.258 0.357 0.357
Sr6 0.742 0.099 0.099
Sr7 0.000 0.643 0.901
Sr8 0.000 0.901 0.643
Ca1 0.000 0.000 0.000

ThGa2SiRu2 after structural relaxation, computed with PBE.

## Properties
Formation energy from raw total energies ... -0.363 eV per atom
Space group ... P4/mmm, No. 123
DOS(E_F) ... 4.12 states/eV per cell

abc: 4.437 4.437 5.715
angles: 90.00 90.00 90.00
Fractional positions:
Th1 0.000 0.000 0.500
Ga1 0.500 0.500 0.729
Ga2 0.500 0.500 0.271
Si1 0.000 0.000 0.000
Ru1 0.500 0.000 0.000
Ru2 0.000 0.500 0.000

LiTaSi2 after structural relaxation, computed with PBE.

## Properties
Excess energy over the best structure of this formula in the dataset ... 0.113 eV/f.u.
Formation energy from raw total energies ... -0.207 eV per atom
Space group ... I4/mmm, No. 139
DOS(E_F) ... 0.78 states/eV per cell

abc: 4.747 4.747 4.748
angles: 133.59 133.59 67.70
Fractional positions:
Li1 0.250 0.750 0.500
Si1 0.000 0.000 0.000
Si2 0.500 0.500 0.000
Ta1 0.750 0.250 0.500

Nd5Ga2Ir after structural relaxation, computed with PBE.

## Properties
Space group ... Pbam, No. 55
DOS(E_F) ... 12.99 states/eV per cell
Formation energy from the elements ... -510.8 meV per atom

abc: 4.727 7.778 12.248
angles: 90.00 90.00 90.00
Fractional positions:
Nd1 0.000 0.000 0.500
Nd2 0.000 0.500 0.000
Nd3 0.000 0.855 0.208
Nd4 0.000 0.145 0.792
Nd5 0.000 0.645 0.708